{
  "formula": "C2HCdO3",
  "method": "ωB97M-V with the def2-TZVPD basis set",
  "symbols": ["O", "C", "O", "C", "O", "Cd", "H"],
  "positions_angstrom": [[0.58710, 0.53864, -0.85652], [1.42537, -0.44420, -1.28471], [1.86026, -1.32530, -0.60582], [-0.55442, 0.35586, -0.09795], [-0.85559, -0.75134, 0.33256], [-1.42263, 1.10349, 1.61189], [1.74226, -0.21941, -2.31819]],
  "atomic_forces_ev_per_a": [[-3.52, 2.32, 1.11], [2.22, -2.39, 0.00], [-0.94, 1.13, -0.66], [3.29, -2.76, -0.26], [-0.29, 0.52, -1.19], [-0.53, 1.26, 0.74], [-0.23, -0.07, 0.26]],
  "max_force_ev_per_a": 4.4,
  "total_charge": 1,
  "e_lumo_ha": -0.300,
  "e_homo_ha": -0.53377,
  "energy_ev": -12785.8181,
  "relative_energy_ev": 0.7477,
  "orbital_gap_ev": 6.3
}

* * * * *

No. 1
{
  "formula": "C54H92B3IO21",
  "method": "ωB97M-V/def2-TZVPD",
  "smiles": "CCCCCCCCCCCCB1OB(I)OB(CCCCCCCCOC(C)=O)O1.O=C1CCCO1.O=C1CCCO1.O=C1CCCO1.O=C1CCCO1.O=C1CCCO1.O=C1CCCO1.O=C1CCCO1.O=C1CCCO1",
  "charge": 0,
  "molar_mass_g_mol": 1236.6,
  "e_tot_ha": -4065.5529,
  "lumo_energy_ev": 0.39,
  "homo_lumo_gap_ev": 9.98,
  "max_force_ev_per_a": 1.15,
  "elements": ["C", "C", "C", "C", "C", "C", "C", "C", "C", "C", "C", "C", "B", "O", "B", "I", "O", "B", "C", "C", "C", "C", "C", "C", "C", "C", "O", "C", "C", "O", "O", "H", "H", "H", "H", "H", "H", "H", "H", "H", "H", "H", "H", "H", "H", "H", "H", "H", "H", "H", "H", "H", "H", "H", "H", "H", "H", "H", "H", "H", "H", "H", "H", "H", "H", "H", "H", "H", "H", "H", "H", "H", "H", "H", "H", "O", "C", "O", "C", "C", "C", "H", "H", "H", "H", "H", "H", "O", "C", "O", "C", "C", "C", "H", "H", "H", "H", "H", "H", "O", "C", "O", "C", "C", "C", "H", "H", "H", "H", "H", "H", "O", "C", "O", "C", "C", "C", "H", "H", "H", "H", "H", "H", "O", "C", "O", "C", "C", "C", "H", "H", "H", "H", "H", "H", "O", "C", "O", "C", "C", "C", "H", "H", "H", "H", "H", "H", "O", "C", "O", "C", "C", "C", "H", "H", "H", "H", "H", "H", "O", "C", "O", "C", "C", "C", "H", "H", "H", "H", "H", "H"],
Please repeat the lines above up to the one that holds "ωB97M-V/def2-TZVPD", that line included.
{
  "formula": "C2HCdO3",
  "method": "ωB97M-V with the def2-TZVPD basis set",
  "symbols": ["O", "C", "O", "C", "O", "Cd", "H"],
  "positions_angstrom": [[0.58710, 0.53864, -0.85652], [1.42537, -0.44420, -1.28471], [1.86026, -1.32530, -0.60582], [-0.55442, 0.35586, -0.09795], [-0.85559, -0.75134, 0.33256], [-1.42263, 1.10349, 1.61189], [1.74226, -0.21941, -2.31819]],
  "atomic_forces_ev_per_a": [[-3.52, 2.32, 1.11], [2.22, -2.39, 0.00], [-0.94, 1.13, -0.66], [3.29, -2.76, -0.26], [-0.29, 0.52, -1.19], [-0.53, 1.26, 0.74], [-0.23, -0.07, 0.26]],
  "max_force_ev_per_a": 4.4,
  "total_charge": 1,
  "e_lumo_ha": -0.300,
  "e_homo_ha": -0.53377,
  "energy_ev": -12785.8181,
  "relative_energy_ev": 0.7477,
  "orbital_gap_ev": 6.3
}

* * * * *

No. 1
{
  "formula": "C54H92B3IO21",
  "method": "ωB97M-V/def2-TZVPD",